== Contents ==
Here is a gas-phase ion, C5H12NSe (charge +1) at a distorted geometry from the OMol25 dataset. Energies are from wB97M-V/def2-TZVPD.

CARTESIAN COORDINATES (ANGSTROEM)
C  -1.2841  0.1851  1.7962
C  0.2328  0.1893  1.5982
C  -1.8450  -0.4899  0.5562
C  0.5591  0.0699  0.0465
C  2.2587  -0.1550  -2.2264
N  -0.9718  0.1061  -0.5290
Se  1.6555  -1.3162  -0.6752
H  -1.7850  -0.3321  2.5920
H  -1.6584  1.1594  1.7343
H  0.8736  1.1014  1.9395
H  0.7292  -0.7073  1.9539
H  -1.6826  -1.4676  0.7929
H  -2.8996  -0.2155  0.5357
H  0.7843  0.9861  -0.4169
H  1.4076  0.0423  -2.7997
H  2.8385  0.7428  -1.8430
H  2.8793  -0.7687  -2.8113
H  -0.8761  -0.1931  -1.4890
H  -1.2161  1.0629  -0.7550

Output
**Energy relative to the best compared isomer or geometry (same formula, charge and spin)**: 8.7 kcal per mole
**Charge**: +1
**SMILES string**: C[Se][C@@H]1CCC[NH2+]1
**Orbital gap**: 9.84 eV
**E**: -2653.58785 Eh

natural (NBO) population analysis, charges in e, atoms 1 to 8: -0.408, -0.449, -0.216, -0.209, -0.726, -0.556, 0.368, 0.255

***

Here is 2 unconnected molecules or ions with the total composition C5H12O from the OMol25 dataset. Energies are from wB97M-V/def2-TZVPD.

CARTESIAN COORDINATES (ANGSTROEM)
C  -1.7734  0.9095  0.3848
O  -1.2489  -0.3668  0.4864
C  0.0405  -0.5125  0.4035
C  0.1258  0.7733  -1.6084
C  0.9762  0.3523  1.1991
C  0.4856  -1.8960  0.0618
H  -0.8405  1.0917  -0.7609
H  -1.4417  1.5820  1.1847
H  -2.8591  0.8223  0.3347
H  -0.0352  1.6512  -2.2489
H  1.2024  0.7589  -1.4046
H  -0.1230  -0.1041  -2.2151
H  0.7719  1.4216  1.1143
H  0.9037  0.0699  2.2608
H  2.0090  0.1744  0.8831
H  0.8859  -2.4024  0.9507
H  -0.3613  -2.4621  -0.3322
H  1.2820  -1.8632  -0.6939

Output
**Energy relative to the best compared isomer or geometry (same formula, charge and spin)**: 102.5 kcal per mole
**Orbital gap**: 8.24 eV
**E**: -272.78524 Eh

natural (NBO) population analysis, charges in e, atoms 1 to 8: -0.340, -0.429, 0.501, -0.907, -0.713, -0.687, 0.229, 0.161

***

Here is 2 unconnected molecules or ions with the total composition C5H12O at a distorted geometry from the OMol25 dataset. Energies are from wB97M-V/def2-TZVPD.

CARTESIAN COORDINATES (ANGSTROEM)
C  0.1259  0.0268  -2.2195
C  -1.1356  0.7904  -1.8200
C  -1.9148  0.0932  -0.6802
H  -0.0724  -1.0235  -2.4519
H  0.5096  0.4003  -3.1701
H  0.9414  0.0930  -1.4998
H  -0.8366  1.7901  -1.5109
H  -1.7372  0.8462  -2.7218
H  -2.4144  0.8619  -0.1005
H  -1.2244  -0.4852  -0.0707
H  -2.6188  -0.6049  -1.1270
C  0.6669  -0.0626  2.5734
C  1.6657  -0.8574  2.2236
O  2.9903  -0.6215  2.4320
H  -0.3209  -0.4988  2.4731
H  0.8084  0.9497  2.9277
H  1.5219  -1.7403  1.6142
H  3.0452  0.0424  3.1285

Output
**Energy relative to the best compared isomer or geometry (same formula, charge and spin)**: 31.4 kcal per mole
**SMILES string**: C=CO.CCC
**Orbital gap**: 10.16 eV
**E**: -272.89855 Eh

natural (NBO) population analysis, charges in e, atoms 1 to 8: -0.607, -0.393, -0.609, 0.198, 0.204, 0.205, 0.194, 0.194

***

Here is C5H12O in the gas phase from the OMol25 dataset. Energies are from wB97M-V/def2-TZVPD.

CARTESIAN COORDINATES (ANGSTROEM)
C  -0.2856  -0.2725  -2.0529
C  -0.7216  -0.4846  -0.6016
C  0.0938  0.2920  0.4563
C  -0.7648  0.5111  1.6975
C  1.3767  -0.4729  0.8249
O  0.4097  1.6074  0.0035
H  -0.5578  0.7236  -2.4233
H  -0.7815  -0.9960  -2.7075
H  0.7955  -0.4060  -2.1895
H  -0.6432  -1.5504  -0.3608
H  -1.7828  -0.2230  -0.5059
H  -1.1155  -0.4429  2.1050
H  -1.6322  1.1236  1.4309
H  -0.1983  1.0410  2.4695
H  1.1426  -1.4629  1.2363
H  1.9418  0.0807  1.5814
H  2.0336  -0.6246  -0.0408
H  0.6896  1.5564  -0.9232

Output
**Energy relative to the best compared isomer or geometry (same formula, charge and spin)**: 1.3 kcal per mole
**SMILES string**: CCC(C)(C)O
**Orbital gap**: 11.08 eV
**E**: -272.94653 Eh

natural (NBO) population analysis, charges in e, atoms 1 to 8: -0.629, -0.418, 0.245, -0.613, -0.632, -0.728, 0.205, 0.223

***
== What to do ==
Set down all of the lines further up character by character.
== Here it is ==
Here is a gas-phase ion, C5H12NSe (charge +1) at a distorted geometry from the OMol25 dataset. Energies are from wB97M-V/def2-TZVPD.

CARTESIAN COORDINATES (ANGSTROEM)
C  -1.2841  0.1851  1.7962
C  0.2328  0.1893  1.5982
C  -1.8450  -0.4899  0.5562
C  0.5591  0.0699  0.0465
C  2.2587  -0.1550  -2.2264
N  -0.9718  0.1061  -0.5290
Se  1.6555  -1.3162  -0.6752
H  -1.7850  -0.3321  2.5920
H  -1.6584  1.1594  1.7343
H  0.8736  1.1014  1.9395
H  0.7292  -0.7073  1.9539
H  -1.6826  -1.4676  0.7929
H  -2.8996  -0.2155  0.5357
H  0.7843  0.9861  -0.4169
H  1.4076  0.0423  -2.7997
H  2.8385  0.7428  -1.8430
H  2.8793  -0.7687  -2.8113
H  -0.8761  -0.1931  -1.4890
H  -1.2161  1.0629  -0.7550

Output
**Energy relative to the best compared isomer or geometry (same formula, charge and spin)**: 8.7 kcal per mole
**Charge**: +1
**SMILES string**: C[Se][C@@H]1CCC[NH2+]1
**Orbital gap**: 9.84 eV
**E**: -2653.58785 Eh

natural (NBO) population analysis, charges in e, atoms 1 to 8: -0.408, -0.449, -0.216, -0.209, -0.726, -0.556, 0.368, 0.255

***

Here is 2 unconnected molecules or ions with the total composition C5H12O from the OMol25 dataset. Energies are from wB97M-V/def2-TZVPD.

CARTESIAN COORDINATES (ANGSTROEM)
C  -1.7734  0.9095  0.3848
O  -1.2489  -0.3668  0.4864
C  0.0405  -0.5125  0.4035
C  0.1258  0.7733  -1.6084
C  0.9762  0.3523  1.1991
C  0.4856  -1.8960  0.0618
H  -0.8405  1.0917  -0.7609
H  -1.4417  1.5820  1.1847
H  -2.8591  0.8223  0.3347
H  -0.0352  1.6512  -2.2489
H  1.2024  0.7589  -1.4046
H  -0.1230  -0.1041  -2.2151
H  0.7719  1.4216  1.1143
H  0.9037  0.0699  2.2608
H  2.0090  0.1744  0.8831
H  0.8859  -2.4024  0.9507
H  -0.3613  -2.4621  -0.3322
H  1.2820  -1.8632  -0.6939

Output
**Energy relative to the best compared isomer or geometry (same formula, charge and spin)**: 102.5 kcal per mole
**Orbital gap**: 8.24 eV
**E**: -272.78524 Eh

natural (NBO) population analysis, charges in e, atoms 1 to 8: -0.340, -0.429, 0.501, -0.907, -0.713, -0.687, 0.229, 0.161

***

Here is 2 unconnected molecules or ions with the total composition C5H12O at a distorted geometry from the OMol25 dataset. Energies are from wB97M-V/def2-TZVPD.

CARTESIAN COORDINATES (ANGSTROEM)
C  0.1259  0.0268  -2.2195
C  -1.1356  0.7904  -1.8200
C  -1.9148  0.0932  -0.6802
H  -0.0724  -1.0235  -2.4519
H  0.5096  0.4003  -3.1701
H  0.9414  0.0930  -1.4998
H  -0.8366  1.7901  -1.5109
H  -1.7372  0.8462  -2.7218
H  -2.4144  0.8619  -0.1005
H  -1.2244  -0.4852  -0.0707
H  -2.6188  -0.6049  -1.1270
C  0.6669  -0.0626  2.5734
C  1.6657  -0.8574  2.2236
O  2.9903  -0.6215  2.4320
H  -0.3209  -0.4988  2.4731
H  0.8084  0.9497  2.9277
H  1.5219  -1.7403  1.6142
H  3.0452  0.0424  3.1285

Output
**Energy relative to the best compared isomer or geometry (same formula, charge and spin)**: 31.4 kcal per mole
**SMILES string**: C=CO.CCC
**Orbital gap**: 10.16 eV
**E**: -272.89855 Eh

natural (NBO) population analysis, charges in e, atoms 1 to 8: -0.607, -0.393, -0.609, 0.198, 0.204, 0.205, 0.194, 0.194

***

Here is C5H12O in the gas phase from the OMol25 dataset. Energies are from wB97M-V/def2-TZVPD.

CARTESIAN COORDINATES (ANGSTROEM)
C  -0.2856  -0.2725  -2.0529
C  -0.7216  -0.4846  -0.6016
C  0.0938  0.2920  0.4563
C  -0.7648  0.5111  1.6975
C  1.3767  -0.4729  0.8249
O  0.4097  1.6074  0.0035
H  -0.5578  0.7236  -2.4233
H  -0.7815  -0.9960  -2.7075
H  0.7955  -0.4060  -2.1895
H  -0.6432  -1.5504  -0.3608
H  -1.7828  -0.2230  -0.5059
H  -1.1155  -0.4429  2.1050
H  -1.6322  1.1236  1.4309
H  -0.1983  1.0410  2.4695
H  1.1426  -1.4629  1.2363
H  1.9418  0.0807  1.5814
H  2.0336  -0.6246  -0.0408
H  0.6896  1.5564  -0.9232

Output
**Energy relative to the best compared isomer or geometry (same formula, charge and spin)**: 1.3 kcal per mole
**SMILES string**: CCC(C)(C)O
**Orbital gap**: 11.08 eV
**E**: -272.94653 Eh

natural (NBO) population analysis, charges in e, atoms 1 to 8: -0.629, -0.418, 0.245, -0.613, -0.632, -0.728, 0.205, 0.223

***